Material:
~~~
# 1
{"formula": "CoAgSe2", "functional": "PBE-GGA", "state": "relaxed", "vol_a3_per_atom": 24.05, "spacegroup": "Cm (8)", "cell": [[-0.731, -4.902, -1.990], [1.853, -3.736, -3.337], [3.482, -3.370, 3.764]], "species": ["Se", "Co", "Ag", "Se"], "fractional_positions": [[0.916, 0.916, 0.128], [0.289, 0.289, 0.369], [0.566, 0.566, 0.356], [0.729, 0.729, 0.647]]}


# 2
{"formula": "CoAgSe2", "functional": "PBE-GGA", "state": "relaxed", "vol_a3_per_atom": 21.90, "spacegroup": "Immm (71)", "cell": [[6.390, 0.190, -0.035], [3.786, 5.151, 0.035], [-4.760, -3.294, 2.712]], "species": ["Ag", "Co", "Se", "Se"], "fractional_positions": [[0.250, 0.750, 0.500], [0.750, 0.250, 0.500], [0.610, 0.610, 0.000], [0.890, 0.890, 0.000]]}


# 3
{"formula": "CoAg2Se", "functional": "PBE-GGA", "state": "relaxed", "vol_a3_per_atom": 17.55, "spacegroup": "Cmmm (65)", "cell": [[-1.958, -0.408, -1.965], [1.968, -0.947, -1.757], [-1.300, -8.305, 3.020]], "species": ["Co", "Ag", "Ag", "Se"], "fractional_positions": [[0.500, 0.500, 0.250], [0.000, 0.000, 0.035], [0.000, 0.000, 0.465], [0.500, 0.500, 0.750]]}


Result set for calculated density: 5.60; 6.16; 8.36 g cm⁻³, one per record in the order listed.
Result set for E_tot: -4.233; -4.250; -3.699 eV per atom, one per record in the order listed.
Result set for formation energy from raw total energies: -0.15; -1.77; 36.07 kJ per mole of atoms, one per record in the order listed.

~~~~~

1.
Density functional theory data (PBE) for MnBeCr after structural relaxation.

Cell lengths 4.132, 4.132, 4.132 Å; angles 146.68, 126.76, 64.27 degrees
Each line ends with the local moment (μB).
Element x y z (fractional)
Mn (0.661, 0.661, 0.000)  0.21
Cr (0.338, 0.338, 0.000)  -0.05
Be (0.002, 0.002, 0.000)  0.00

## Properties
E in eV/atom: -7.4825
SG: Imm2 (44)
Formation energy from the elements in eV per formula unit: 0.07

2.
Density functional theory data (PBE) for MnBe4Cr after structural relaxation.

Cell lengths 4.173, 4.173, 4.173 Å; angles 60.00, 60.00, 60.00 degrees
Each line ends with the local moment (μB).
Element x y z (fractional)
Be (0.125, 0.625, 0.625)  0.00
Be (0.625, 0.625, 0.625)  0.00
Be (0.625, 0.125, 0.625)  0.00
Be (0.625, 0.625, 0.125)  0.00
Cr (0.250, 0.250, 0.250)  -0.49
Mn (0.000, 0.000, 0.000)  0.51

## Properties
E in eV/atom: -5.8700
SG: F-43m (216)
Formation energy from the elements in eV per formula unit: -1.52

3.
Density functional theory data (PBE) for Mn2BeCr after structural relaxation.

Cell lengths 2.795, 2.795, 5.421 Å; angles 90.00, 90.00, 90.00 degrees
Each line ends with the local moment (μB).
Element x y z (fractional)
Mn (0.500, 0.500, 0.267)  2.03
Mn (0.000, 0.000, 0.989)  -0.86
Cr (0.500, 0.500, 0.744)  1.21
Be (0.000, 0.000, 0.500)  -0.04

## Properties
E in eV/atom: -7.8986
SG: P4mm (99)
Formation energy from the elements in eV per formula unit: 0.09

4.
Density functional theory data (PBE) for Mn2BeCr after structural relaxation.

Cell lengths 3.832, 2.377, 4.592 Å; angles 80.60, 90.00, 90.00 degrees
Element x y z (fractional)
Mn (0.000, 0.964, 0.013)
Mn (0.000, 0.536, 0.487)
Cr (0.500, 0.750, 0.750)
Be (0.500, 0.250, 0.250)

## Properties
E in eV/atom: -7.9341
SG: P2/m (10)
Formation energy from the elements in eV per formula unit: -0.05

5.
Density functional theory data (PBE) for Mn3BeCr after structural relaxation.

Cell lengths 7.107, 3.947, 8.133 Å; angles 90.00, 90.00, 90.00 degrees
Each line ends with the local moment (μB).
Element x y z (fractional)
Be (0.250, 0.000, 0.552)  -0.01
Be (0.750, 0.500, 0.948)  -0.01
Be (0.250, 0.500, 0.052)  -0.01
Be (0.750, 0.000, 0.448)  -0.01
Mn (0.058, 0.500, 0.823)  1.49
Mn (0.558, 0.000, 0.677)  1.49
Mn (0.750, 0.000, 0.167)  -0.62
Mn (0.058, 0.000, 0.323)  1.49
Mn (0.942, 0.500, 0.177)  1.49
Mn (0.442, 0.000, 0.323)  1.49
Mn (0.442, 0.500, 0.823)  1.49
Mn (0.250, 0.500, 0.333)  -0.62
Mn (0.558, 0.500, 0.177)  1.49
Mn (0.750, 0.500, 0.667)  -0.62
Mn (0.250, 0.000, 0.833)  -0.62
Mn (0.942, 0.000, 0.677)  1.49
~~~
Job:
Please search the block further above for the word "Density" and retype each line that has it.
Done:
Density functional theory data (PBE) for MnBeCr after structural relaxation.
Density functional theory data (PBE) for MnBe4Cr after structural relaxation.
Density functional theory data (PBE) for Mn2BeCr after structural relaxation.
Density functional theory data (PBE) for Mn2BeCr after structural relaxation.
Density functional theory data (PBE) for Mn3BeCr after structural relaxation.